Growing up, I knew I had to be involved in politics. From the time my mom took me to a presidential rally when I was only five years old, her political enthusiasm rubbed off on me. I helped knock on doors to get out the vote in high school and registered to vote the day I turned 18. There’s nothing like the thrill of election night, when all the hard work pays off and the candidate you believe in is allowed the privilege to work on behalf of the people.
Working on campaigns, Capitol Hill and in the executive branch has given me a unique perspective on how the political world works. Political PR is not for the faint of heart – expect long hours, unexpected demands and job uncertainty because of elections. However, it’s incredibly rewarding when you see major legislation, which you helped guide through, passed and signed into law.
As I knew the natural progression of working in political communications leads to Washington, D.C., or a state capital, I have learned a few things throughout my journey that can help tremendously if you’re looking to break into political PR:
-- Crystal structures, as found in the file --
____________
(1)
VASP calculation (PBE) on crystalline NaNd3Ag4 at its relaxed geometry. Values from VASP.

The value obtained for the theoretical density is 7.1 g/cm3. The formation energy comes out at -140 kJ/mol of formula units. As for the space-group type: No. 166.

```
&SYSTEM
  ibrav = 0, nat = 8, ntyp = 3
/
ATOMIC_SPECIES
Ag 107.87 Ag.upf
Nd 144.24 Nd.upf
Na 22.99 Na.upf
ATOMIC_POSITIONS crystal
Ag 0.378 0.378 0.867
Ag 0.622 0.622 0.133
Ag 0.129 0.129 0.612
Ag 0.871 0.871 0.388
Nd 0.746 0.746 0.762
Nd 0.500 0.500 0.500
Nd 0.254 0.254 0.238
Na 0.000 0.000 0.000
CELL_PARAMETERS angstrom
-2.526 4.573 -0.570
-4.712 0.694 2.222
1.391 4.746 7.684
```

(2)
VASP calculation (PBE) on crystalline Na2NdAgO4 at its relaxed geometry. Values from VASP.

The value obtained for the theoretical density is 5.2 g/cm3. Its formation energy from raw total energies is -1.57 eV/atom. As for the space-group type: No. 82.

```
&SYSTEM
  ibrav = 0, nat = 8, ntyp = 4
/
ATOMIC_SPECIES
O 16.00 O.upf
Nd 144.24 Nd.upf
Na 22.99 Na.upf
Ag 107.87 Ag.upf
ATOMIC_POSITIONS crystal
O 0.918 0.685 0.212
O 0.082 0.294 0.767
O 0.527 0.233 0.315
O 0.473 0.788 0.706
Nd 0.500 0.250 0.750
Na 0.000 0.000 0.000
Na 0.500 0.750 0.250
Ag 0.000 0.500 0.500
CELL_PARAMETERS angstrom
5.315 0.153 0.234
-2.126 4.873 -0.234
-2.126 -2.176 4.367
```

(3)
VASP calculation (PBE) on crystalline NaPmNdAg at its relaxed geometry. Values from VASP.

The value obtained for the theoretical density is 6.1 g/cm3. The formation energy comes out at 35 kJ/mol of formula units. As for the space-group type: No. 216.

```
&SYSTEM
  ibrav = 0, nat = 4, ntyp = 4
/
ATOMIC_SPECIES
Ag 107.87 Ag.upf
Na 22.99 Na.upf
Pm 145.00 Pm.upf
Nd 144.24 Nd.upf
ATOMIC_POSITIONS crystal
Ag 0.250 0.250 0.250
Na 0.750 0.750 0.750
Pm 0.000 0.000 0.000
Nd 0.500 0.500 0.500
CELL_PARAMETERS angstrom
5.451 0.000 0.000
2.725 4.720 0.000
2.725 1.573 4.450
```

(4)
VASP calculation (PBE) on crystalline NaNdAgPt at its relaxed geometry. Values from VASP.

The value obtained for the theoretical density is 8.6 g/cm3. The formation energy comes out at -156 kJ/mol of formula units. As for the space-group type: No. 216.

```
&SYSTEM
  ibrav = 0, nat = 4, ntyp = 4
/
ATOMIC_SPECIES
Nd 144.24 Nd.upf
Ag 107.87 Ag.upf
Na 22.99 Na.upf
Pt 195.08 Pt.upf
ATOMIC_POSITIONS crystal
Nd 0.000 0.000 0.000
Ag 0.250 0.250 0.250
Na 0.500 0.500 0.500
Pt 0.750 0.750 0.750
CELL_PARAMETERS angstrom
-3.094 2.525 3.077
-2.209 -2.377 3.858
1.421 1.011 4.730
```

(5)
VASP calculation (PBE) on crystalline NaNd2AgS4 at its relaxed geometry. Values from VASP.

The value obtained for the theoretical density is 4.8 g/cm3. Its formation energy from raw total energies is -1.51 eV/atom. As for the space-group type: No. 10.

```
&SYSTEM
  ibrav = 0, nat = 8, ntyp = 4
/
ATOMIC_SPECIES
S 32.06 S.upf
Nd 144.24 Nd.upf
Na 22.99 Na.upf
Ag 107.87 Ag.upf
ATOMIC_POSITIONS crystal
S 0.500 0.762 0.250
S 0.500 0.238 0.750
S 0.000 0.755 0.752
S 0.000 0.245 0.248
Nd 0.000 0.000 0.000
Nd 0.500 0.000 0.500
____________
1) Always network. In an extremely competitive environment like politics, it may seem tough to break into the industry. Not having many political connections myself, I worked hard to connect with anyone and everyone who would meet with me. Make the most of your friends, classmates and their connections. Once you identify someone whose work and experience interests you, ask for an informational meeting and always be thankful for their time. Even if a position isn’t open at the moment, there might be one down the line, and that person can help you land it.
2) No position or task is beneath you. Although you may have graduated from college, politics is all about working your way up the totem pole. Many young professionals make the mistake of thinking they are qualified to be a press secretary without any experience. It’s important to find solid internships, perhaps on the Hill, which will help you gain skills applicable to a legislative office to be considered for entry-level jobs. If you want to do communications, ask to help the press secretary or communications director with drafting press releases or coordinating social media.
Unrelated to this article: calculated crystals:
'''
Material: ScZn2Re
Method: DFT, PBE-GGA
State: optimized geometry

Cell: 5.0821 5.0821 5.0821 Å, 139.54 130.75 65.57°
Last column: nearest neighbours and their distance in Å.
Element x y z (fractional)
Sc 0.0000 0.0000 0.0000  8 Zn 2.75-2.93, 4 Re 2.82-2.96
Zn 0.2622 0.7622 0.5000  2 Zn 2.64, 4 Re 2.76, 4 Sc 2.85-2.93
Zn 0.4923 0.4923 0.0000  2 Zn 2.64, 4 Sc 2.75, 2 Re 2.76
Re 0.7414 0.2414 0.5000  8 Zn 2.76-3.01, 4 Sc 2.82-2.96

Calculated formation energy, meV/atom: 34


1.
DFT (PBE) results for crystalline TmSc4SbC2 at its relaxed geometry.

a = 3.3838 Å, b = 3.3838 Å, c = 15.6407 Å
α = 90.00°, β = 90.00°, γ = 120.00°
With the nearest neighbours (Å) after each atom.
Element x y z (fractional)
C 0.3333 0.6667 0.2305  6 Sc 2.29-2.30
C 0.3333 0.6667 0.7695  6 Sc 2.29-2.30
Sb 0.0000 0.0000 0.0000  6 Sc 3.10, 6 Sb 3.38
Sc 0.6667 0.3333 0.1538  3 C 2.29
Sc 0.0000 0.0000 0.3081  3 C 2.30
Sc 0.0000 0.0000 0.6919  3 C 2.30
Sc 0.6667 0.3333 0.8462  3 C 2.29
Tm 0.6667 0.3333 0.5000  6 Tm 3.38, 6 Sc 3.58

- Magnetic moment: 0.65 μB/f.u.
- Total energy: -7.053 eV per atom

2.
DFT (PBE) results for crystalline Sc2Sb3W4C3 at its relaxed geometry.

a = 5.7491 Å, b = 5.7491 Å, c = 13.5003 Å
α = 100.33°, β = 100.33°, γ = 60.76°
With the nearest neighbours (Å) after each atom.
Element x y z (fractional)
C 0.5000 0.0000 0.0000  4 W 2.11-2.16, 2 Sc 2.35
C 0.8451 0.3309 0.0015  4 W 2.11-2.21, 2 Sc 2.31-2.36
C 0.6691 0.1549 0.4985  4 W 2.11-2.21, 2 Sc 2.31-2.36
C 0.0000 0.5000 0.5000  4 W 2.11-2.16, 2 Sc 2.35
C 0.3309 0.8451 0.5015  4 W 2.11-2.21, 2 Sc 2.31-2.36
C 0.1549 0.6691 0.9985  4 W 2.11-2.21, 2 Sc 2.31-2.36
Sb 0.5756 0.7813 0.2459  4 W 2.84-3.14, 2 Sc 2.89-2.90
Sb 0.9393 0.0607 0.2500  4 W 2.89-3.06, 2 Sc 2.90, 4 Sb 3.19-3.20
Sb 0.2187 0.4244 0.2541  4 W 2.84-3.14, 2 Sc 2.89-2.90
Sb 0.7813 0.5756 0.7459  4 W 2.84-3.14, 2 Sc 2.89-2.90
Sb 0.0607 0.9393 0.7500  4 W 2.89-3.06, 2 Sc 2.90, 4 Sb 3.19-3.20
Sb 0.4244 0.2187 0.7541  4 W 2.84-3.14, 2 Sc 2.89-2.90
Sc 0.5299 0.3690 0.0973  3 C 2.31-2.36
Sc 0.6310 0.4701 0.4027  3 C 2.31-2.36
Sc 0.3690 0.5299 0.5973  3 C 2.31-2.36
Sc 0.4701 0.6310 0.9027  3 C 2.31-2.36
W 0.8378 0.6934 0.0732  3 C 2.11-2.17
W 0.1982 0.0013 0.0753  3 C 2.11-2.21
W 0.9987 0.8018 0.4247  3 C 2.11-2.21
W 0.3066 0.1622 0.4268  3 C 2.11-2.17
W 0.6934 0.8378 0.5732  3 C 2.11-2.17
W 0.0013 0.1982 0.5753  3 C 2.11-2.21
W 0.8018 0.9987 0.9247  3 C 2.11-2.21
W 0.1622 0.3066 0.9268  3 C 2.11-2.17

- Magnetic moment: 0.00 μB/f.u.
- Total energy: -8.847 eV per atom


This record from the Alexandria database describes a geometry-optimized KNi2Cl6 structure. The functional is PBE.

extended XYZ file:
```
9
Lattice="6.140 0.000 0.000 -3.070 5.317 0.000 0.000 0.000 7.046" Properties=species:S:1:pos:R:3 pbc="T T T"
Cl 3.847 0.000 2.196
Ni 3.070 1.772 3.523
K 0.000 0.000 0.000
Cl 1.924 3.332 4.850
Cl -1.924 3.332 2.196
Cl 2.292 0.000 4.850
Ni 0.000 3.545 3.523
Cl 1.146 1.985 2.196
Cl -1.146 1.985 4.850
```

## Properties
E_tot: -31.3 eV for the cell shown
'''
3) Join a campaign. Often, some of the best hands-on experience you can gain is to join a campaign and work on the trail. A lot of people begin their political PR careers on campaigns, which always need extra help. If you join a race at a more local level, you are more likely to earn more responsibility.
These are just a few takeaways from my time spent in Washington, D.C. One of the most important rules is to have fun. I’ve had made some of my best friends through working in politics. Also, pay it forward – someday, when you’re a big shot, remember there will be people looking for their start and how you have been in their shoes. Happy politicking!
Kate Enos is currently an account executive at GYMR Public Relations. Previously, she served as deputy press secretary for the federal agency, the Corporation for National and Community Service. She also has several years of varied legislative and political experience, working on Capitol Hill and on several state and nationwide political campaigns. Enos is the PRSA New Professionals Section mentorship co-chair.